## Listing
~~~
[1]
# LiCuBO3 GGA-PBE relaxed
# ΔE to the lowest computed polymorph   17 meV per atom
data_LiCuBO3
_cell_length_a 5.168
_cell_length_b 5.245
_cell_length_c 16.818
_cell_angle_alpha 90.00
_cell_angle_beta 90.00
_cell_angle_gamma 90.00
_symmetry_space_group_name_H-M 'P 1'
_symmetry_Int_Tables_number 1
loop_
_symmetry_equiv_pos_as_xyz
'x,y,z'
loop_
_atom_site_label
_atom_site_fract_x
_atom_site_fract_y
_atom_site_fract_z
B1 0.013 0.796 0.625
O1 0.046 0.752 0.705
B2 0.013 0.704 0.125
Cu1 0.995 0.311 0.569
Cu2 0.005 0.811 0.931
Cu3 0.005 0.689 0.431
O2 0.666 0.014 0.102
O3 0.954 0.252 0.795
Li1 0.251 0.506 0.764
Li2 0.751 0.994 0.236
O4 0.954 0.248 0.295
O5 0.546 0.748 0.295
B3 0.487 0.204 0.125
O6 0.166 0.486 0.898
O7 0.046 0.748 0.205
O8 0.834 0.986 0.602
B4 0.513 0.796 0.875
Li3 0.251 0.994 0.264
Cu4 0.495 0.189 0.431
O9 0.648 0.663 0.935
Li4 0.749 0.006 0.736
Cu5 0.505 0.689 0.069
O10 0.648 0.837 0.435
B5 0.487 0.296 0.625
O11 0.148 0.837 0.065
Li5 0.749 0.494 0.236
O12 0.334 0.986 0.898
O13 0.166 0.014 0.398
O14 0.148 0.663 0.565
B6 0.513 0.704 0.375
B7 0.987 0.204 0.375
B8 0.987 0.296 0.875
O15 0.352 0.337 0.065
Li6 0.249 0.494 0.264
O16 0.546 0.752 0.795
O17 0.454 0.248 0.205
O18 0.352 0.163 0.565
O19 0.454 0.252 0.705
O20 0.852 0.163 0.935
O21 0.334 0.514 0.398
Cu6 0.495 0.311 0.931
O22 0.666 0.486 0.602
O23 0.834 0.514 0.102
Li7 0.249 0.006 0.764
Li8 0.751 0.506 0.736
Cu7 0.505 0.811 0.569
O24 0.852 0.337 0.435
Cu8 0.995 0.189 0.069



[2]
# Li5Cu4B4O12 GGA-PBE relaxed
# E_tot   -6.18 eV per atom
data_Li5Cu4B4O12
_cell_length_a 5.160
_cell_length_b 5.169
_cell_length_c 10.266
_cell_angle_alpha 89.96
_cell_angle_beta 91.62
_cell_angle_gamma 119.75
_symmetry_space_group_name_H-M 'P 1'
_symmetry_Int_Tables_number 1
loop_
_symmetry_equiv_pos_as_xyz
'x,y,z'
loop_
_atom_site_label
_atom_site_fract_x
_atom_site_fract_y
_atom_site_fract_z
O1 0.750 0.053 0.593
O2 0.264 0.919 0.417
Cu1 0.032 0.680 0.884
Li1 0.688 0.662 0.153
O3 0.919 0.264 0.927
O4 0.282 0.381 0.621
Li2 0.337 0.333 0.923
O5 0.743 0.641 0.355
B1 0.995 0.336 0.624
Li3 0.336 0.300 0.332
Li4 0.628 0.669 0.717
O6 0.640 0.738 0.890
O7 0.357 0.268 0.128
B2 0.658 0.010 0.885
Cu2 0.677 0.037 0.368
Li5 0.654 0.631 0.527
O8 0.079 0.744 0.087
O9 0.944 0.572 0.655
O10 0.416 0.042 0.836
Cu3 0.322 0.997 0.628
Cu4 0.975 0.326 0.127
B3 0.340 0.995 0.127
O11 0.584 0.966 0.168
B4 0.018 0.661 0.366
O12 0.049 0.420 0.327



[3]
# LiCuBO3 GGA-PBE relaxed
# ΔE to the lowest computed polymorph   7 meV per atom
data_LiCuBO3
_cell_length_a 8.095
_cell_length_b 8.095
_cell_length_c 3.050
_cell_angle_alpha 90.00
_cell_angle_beta 90.00
_cell_angle_gamma 120.00
_symmetry_space_group_name_H-M 'P 1'
_symmetry_Int_Tables_number 1
loop_
_symmetry_equiv_pos_as_xyz
'x,y,z'
loop_
_atom_site_label
_atom_site_fract_x
_atom_site_fract_y
_atom_site_fract_z
Li1 0.352 0.965 0.500
O1 0.749 0.220 0.500
O2 0.119 0.197 0.500
Cu1 0.714 0.034 0.000
O3 0.444 0.581 0.000
O4 0.419 0.863 0.000
O5 0.137 0.556 0.000
O6 0.078 0.881 0.500
O7 0.803 0.922 0.500
O8 0.780 0.530 0.500
Li2 0.035 0.387 0.500
Cu2 0.320 0.286 0.000
O9 0.470 0.251 0.500
Li3 0.613 0.648 0.500
B1 0.667 0.333 0.500
Cu3 0.966 0.680 0.000
B2 0.333 0.667 0.000
B3 0.000 0.000 0.500



[4]
# LiCuBO3 GGA-PBE relaxed
# ΔE to the lowest computed polymorph   23 meV per atom
data_LiCuBO3
_cell_length_a 8.107
_cell_length_b 8.156
_cell_length_c 3.119
_cell_angle_alpha 90.00
_cell_angle_beta 90.00
_cell_angle_gamma 120.11
_symmetry_space_group_name_H-M 'P 1'
_symmetry_Int_Tables_number 1
loop_
_symmetry_equiv_pos_as_xyz
'x,y,z'
loop_
_atom_site_label
_atom_site_fract_x
_atom_site_fract_y
_atom_site_fract_z
O1 0.473 0.268 0.000
Li1 0.705 0.021 0.500
O2 0.730 0.205 0.000
O3 0.416 0.860 0.500
O4 0.136 0.552 0.500
B1 0.334 0.667 0.500
O5 0.107 0.196 0.000
O6 0.805 0.911 0.000
B2 0.666 0.333 0.000
O7 0.446 0.582 0.500
O8 0.091 0.895 0.000
Cu1 0.012 0.372 0.000
Cu2 0.628 0.640 0.000
Li2 0.978 0.683 0.500
Li3 0.316 0.295 0.500
B3 0.001 0.001 0.000
Cu3 0.363 0.993 0.000
~~~

## Brief
Give back every line above that contains the word "B6".

## Written answer
B6 0.513 0.704 0.375